Andy van Wye loved AP US Government, every history class he took, and all his math classes. He played center on the football team, making it to playoffs that year. He graduated in 2009, and now he’s running for the Maryland House of Delegates.
Social studies teacher Nia Cresham asked van Wye to come in to speak to the AP US Government classes during their campaign unit, which he did Nov. 2 during lunch. Cresham’s intent was to show students that people in real life follow the campaign process learned in class.
This effect was felt by freshman Katherine Sohn. “It was a nice real-world application to what we were learning,” Sohn said.
# 1
# HfIN

Crystalline HfIN at its relaxed geometry (r2SCAN, Materials Project).

SG ... R-3m, No. 166
Calculated volume ... 21.2 A^3/atom
Electronic total energy ... -27.927 eV/atom
Size of the total moment ... 0.000 μB per atom

a b c (Å): 10.9875 10.9875 10.9875
angles (deg): 19.35 19.35 19.35
Atoms (fractional coordinates):
Hf 0.2056 0.2056 0.2056
Hf 0.7944 0.7944 0.7944
I 0.3930 0.3930 0.3930
I 0.6070 0.6070 0.6070
N 0.1399 0.1399 0.1399
N 0.8601 0.8601 0.8601

# 2
# Hf2In5

Crystalline Hf2In5 at its relaxed geometry (r2SCAN, Materials Project).

SG ... P4/mbm, No. 127
Calculated volume ... 23.2 A^3/atom
Electronic total energy ... -29.274 eV/atom
Size of the total moment ... 0.000 μB per atom

a b c (Å): 10.3084 10.3084 3.0574
angles (deg): 90.00 90.00 90.00
Atoms (fractional coordinates):
Hf 0.1798 0.3202 0.0000
Hf 0.3202 0.8202 0.0000
Hf 0.6798 0.1798 0.0000
Hf 0.8202 0.6798 0.0000
In 0.0000 0.5000 0.5000
In 0.0619 0.7908 0.5000
In 0.2092 0.0619 0.5000
In 0.2908 0.5619 0.5000
In 0.4381 0.2908 0.5000
In 0.5000 0.0000 0.5000
In 0.5619 0.7092 0.5000
In 0.7092 0.4381 0.5000
In 0.7908 0.9381 0.5000
In 0.9381 0.2092 0.5000

# 3
# Hf5In4Rh2

Crystalline Hf5In4Rh2 at its relaxed geometry (r2SCAN, Materials Project).

SG ... Pbam, No. 55
Calculated volume ... 20.0 A^3/atom
Electronic total energy ... -33.683 eV/atom
Size of the total moment ... 0.000 μB per atom

a b c (Å): 7.5531 17.3647 3.3543
angles (deg): 90.00 90.00 90.00
Atoms (fractional coordinates):
Hf 0.0000 0.0000 0.0000
Hf 0.1411 0.4191 0.0000
Hf 0.2346 0.7229 0.0000
Hf 0.2654 0.2229 0.0000
Hf 0.3589 0.9191 0.0000
Hf 0.5000 0.5000 0.0000
Hf 0.6411 0.0809 0.0000
Hf 0.7346 0.7771 0.0000
Hf 0.7654 0.2771 0.0000
Hf 0.8589 0.5809 0.0000
In 0.0558 0.8511 0.5000
In 0.1966 0.5668 0.5000
In 0.3034 0.0668 0.5000
In 0.4442 0.3511 0.5000
In 0.5558 0.6489 0.5000
In 0.6966 0.9332 0.5000
In 0.8034 0.4332 0.5000
In 0.9442 0.1489 0.5000
Rh 0.0549 0.3068 0.5000
Rh 0.4451 0.8068 0.5000
Rh 0.5549 0.1932 0.5000
Rh 0.9451 0.6932 0.5000

# 4
# HfInRh2

Crystalline HfInRh2 at its relaxed geometry (r2SCAN, Materials Project).

SG ... Fm-3m, No. 225
Calculated volume ... 16.7 A^3/atom
Electronic total energy ... -29.854 eV/atom
Size of the total moment ... 0.003 μB per atom

a b c (Å): 4.5506 4.5506 4.5506
angles (deg): 60.00 60.00 60.00
Atoms (fractional coordinates):
Hf 0.0000 0.0000 0.0000
In 0.5000 0.5000 0.5000
Rh 0.2500 0.2500 0.2500
Rh 0.7500 0.7500 0.7500

# 5
# HfIr3

Crystalline HfIr3 at its relaxed geometry (r2SCAN, Materials Project).

SG ... Pm-3m, No. 221
Calculated volume ... 15.3 A^3/atom
Electronic total energy ... -51.453 eV/atom
Size of the total moment ... 0.000 μB per atom

a b c (Å): 3.9431 3.9431 3.9431
angles (deg): 90.00 90.00 90.00
Atoms (fractional coordinates):
Hf 0.0000 0.0000 0.0000
Ir 0.0000 0.5000 0.5000
Ir 0.5000 0.0000 0.5000
Ir 0.5000 0.5000 0.0000

# 6
# Hf2MnIr

Crystalline Hf2MnIr at its relaxed geometry (r2SCAN, Materials Project).

SG ... Fm-3m, No. 225
# So much for the materials data
Cresham said that she invited van Wye not only to help students understand that everything learned in class is directly applicable to real life, but also to inspire them to be politically active. “I want people to feel empowered like they can go out and run [for office] just like [van Wye]’s doing,” she said.
Van Wye also supports young people getting involved in the political process, citing the debt that new Republican tax plan will create as an example of young people being under-represented. “We’re going to be paying off interest on that debt probably for the rest of our lives and that’s unacceptable and young people need to take a stand and support issues that are important to them today, tomorrow, and 20 years from now.”
Post-high school, Van Wye graduated in three and a half years from University of Wisconsin-Madison with a bachelor’s degree in history and political science. Then, he interned for various PACs and politicians including for former President Barack Obama’s re-election campaign. Following that, he was a direct mail consultant for three different organizations. Most recently, Van Wye was a legislative reporter at Congressional Quarterly magazine. Of this experience he said, “CQ is one of the top reasons I’m confident I can be a good legislator and it’s because of how much it taught me about policy.”
However, van Wye looks forward instead of back on his past accomplishments: “What this is really about isn’t what we’ve done in the past it’s about how we’re going to affect change in the future.”
Van Wye’s primary policies are relating to education, healthcare and economic equality. In fact, Cresham invited him to speak when he visited his high school teachers over the summer to “figure out what they need from the Maryland State House in order to improve the schools, to give [students] a better education.”
Van Wye intends to increase education funding, establish universal Pre-K, and increase teacher wages and autonomy.
Van Wye also has a healthcare plan to reduce premiums and get more people covered. In terms of economic equality, van Wye wants to adjust Maryland’s ‘equal pay for equal work’ legislation, changing it from grievance-based, where a woman has to sue in court to get equal pay, to requiring companies to prove that they are offering equal pay for equal work. “That’s the best way to end the wage gap,” van Wye said.
Mollika Singh
Staff Writer